Next, repeat the contents below verbatim.
........
(1)
{"formula": "NiSe3F", "functional": "PBE with a Hubbard U", "state": "relaxed", "polymorph_energy_mev_per_atom": 0, "space_group": "Pm-3m, No. 221", "energy_ev_per_atom": -2.507, "dos_at_fermi_per_ev_atom": 1.00, "lattice": [[4.6044, 0.0000, 0.0000], [0.0000, 4.6044, 0.0000], [0.0000, 0.0000, 4.6044]], "species": ["Ni", "Se", "Se", "Se", "F"], "frac_coords": [[0.0000, 0.0000, 0.0000], [0.0000, 0.0000, 0.5000], [0.0000, 0.5000, 0.0000], [0.5000, 0.0000, 0.0000], [0.5000, 0.5000, 0.5000]]}

---

(2)
{"formula": "NiSe2F", "functional": "PBE with a Hubbard U", "state": "relaxed", "polymorph_energy_mev_per_atom": 0, "space_group": "R-3m, No. 166", "energy_ev_per_atom": -3.115, "dos_at_fermi_per_ev_atom": 0.26, "lattice": [[1.8094, 1.0446, 6.7209], [-1.8094, 1.0446, 6.7209], [0.0000, -2.0893, 6.7209]], "species": ["Ni", "Se", "Se", "F"], "frac_coords": [[0.0000, 0.0000, 0.0000], [0.3913, 0.3913, 0.3913], [0.6087, 0.6087, 0.6087], [0.5000, 0.5000, 0.5000]]}

---

(3)
{"formula": "NiSe3F", "functional": "PBE with a Hubbard U", "state": "relaxed", "polymorph_energy_mev_per_atom": 412, "space_group": "Pm-3m, No. 221", "energy_ev_per_atom": -2.095, "dos_at_fermi_per_ev_atom": 0.86, "lattice": [[4.6111, 0.0000, 0.0000], [0.0000, 4.6111, 0.0000], [0.0000, 0.0000, 4.6111]], "species": ["Ni", "Se", "Se", "Se", "F"], "frac_coords": [[0.0000, 0.0000, 0.0000], [0.0000, 0.5000, 0.5000], [0.5000, 0.0000, 0.5000], [0.5000, 0.5000, 0.0000], [0.5000, 0.5000, 0.5000]]}

---

(4)
{"formula": "NiSeF2", "functional": "PBE with a Hubbard U", "state": "relaxed", "polymorph_energy_mev_per_atom": 0, "space_group": "R-3m, No. 166", "energy_ev_per_atom": -3.823, "dos_at_fermi_per_ev_atom": 0.34, "lattice": [[1.4815, 0.8554, 9.2887], [-1.4815, 0.8554, 9.2887], [0.0000, -1.7107, 9.2887]], "species": ["Ni", "Se", "F", "F"], "frac_coords": [[0.0000, 0.0000, 0.0000], [0.5000, 0.5000, 0.5000], [0.3710, 0.3710, 0.3710], [0.6290, 0.6290, 0.6290]]}


A geometry-optimized Y2SiBr structure. Source: Alexandria, functional PBE.

a b c (Å): 7.470 7.539 3.379
angles (deg): 90.00 98.35 90.00
Space group C2/m (No. 12)
Asymmetric unit:
Y  0.250  0.250  0.000 (multiplicity 4)
Si  0.000  0.000  0.500 (multiplicity 2)
Br  0.000  0.500  0.500 (multiplicity 2)

ρ = 5.0 g/cm³
Formation energy from raw total energies = -0.70 eV/atom
DOS(E_F) = 5.84 states/eV per cell
Energy relative to the lowest polymorph listed for this composition = 1.35 eV/f.u.
Final energy = -5.709 eV per atom


# 1
# ScCo2Re | Alexandria | PBE | optimized geometry
data_ScCo2Re
_symmetry_space_group_name_H-M 'I -4 2 d'
_symmetry_Int_Tables_number 122
_symmetry_space_group_name_Hall 'I -4 2bw'
_cell_length_a 3.951
_cell_length_b 3.951
_cell_length_c 16.105
_cell_angle_alpha 90.00
_cell_angle_beta 90.00
_cell_angle_gamma 90.00
loop_
_atom_site_label
_atom_site_type_symbol
_atom_site_fract_x
_atom_site_fract_y
_atom_site_fract_z
Sc1 Sc 0.000 0.000 0.000
Co1 Co 0.209 0.250 0.625
Re1 Re 0.000 0.000 0.500
# M_tot (Bohr magnetons per cell): 0.0
# Formation enthalpy at 0 K (eV/atom): 0.60
# Uncorrected energy (eV/cell): -122.377

---

# 2
# Ac2Ga7Rh | Alexandria | PBE | optimized geometry
data_Ac2Ga7Rh
_symmetry_space_group_name_H-M 'P -4 m 2'
_symmetry_Int_Tables_number 115
_cell_length_a 4.468
_cell_length_b 4.468
_cell_length_c 10.662
_cell_angle_alpha 90.00
_cell_angle_beta 90.00
_cell_angle_gamma 90.00
loop_
_symmetry_equiv_pos_as_xyz
'x,y,z'
'y,-x,-z'
'-x,-y,z'
'-y,x,-z'
'-x,y,z'
'-y,-x,-z'
'x,-y,z'
'y,x,-z'
loop_
_atom_site_label
_atom_site_type_symbol
_atom_site_fract_x
_atom_site_fract_y
_atom_site_fract_z
Ac1 Ac 0.000 0.500 0.244
Ga1 Ga 0.000 0.000 0.000
Ga2 Ga 0.000 0.000 0.500
Ga3 Ga 0.000 0.500 0.634
Ga4 Ga 0.000 0.500 0.879
Ga5 Ga 0.500 0.500 0.500
Rh1 Rh 0.500 0.500 0.000
# M_tot (Bohr magnetons per cell): 0.0
# Formation enthalpy at 0 K (eV/atom): -0.56
# Uncorrected energy (eV/cell): -42.388

---

Which formula does entry 1 have?
ScCo2Re

---

What did the second record say?
........
(1)
{"formula": "NiSe3F", "functional": "PBE with a Hubbard U", "state": "relaxed", "polymorph_energy_mev_per_atom": 0, "space_group": "Pm-3m, No. 221", "energy_ev_per_atom": -2.507, "dos_at_fermi_per_ev_atom": 1.00, "lattice": [[4.6044, 0.0000, 0.0000], [0.0000, 4.6044, 0.0000], [0.0000, 0.0000, 4.6044]], "species": ["Ni", "Se", "Se", "Se", "F"], "frac_coords": [[0.0000, 0.0000, 0.0000], [0.0000, 0.0000, 0.5000], [0.0000, 0.5000, 0.0000], [0.5000, 0.0000, 0.0000], [0.5000, 0.5000, 0.5000]]}

---

(2)
{"formula": "NiSe2F", "functional": "PBE with a Hubbard U", "state": "relaxed", "polymorph_energy_mev_per_atom": 0, "space_group": "R-3m, No. 166", "energy_ev_per_atom": -3.115, "dos_at_fermi_per_ev_atom": 0.26, "lattice": [[1.8094, 1.0446, 6.7209], [-1.8094, 1.0446, 6.7209], [0.0000, -2.0893, 6.7209]], "species": ["Ni", "Se", "Se", "F"], "frac_coords": [[0.0000, 0.0000, 0.0000], [0.3913, 0.3913, 0.3913], [0.6087, 0.6087, 0.6087], [0.5000, 0.5000, 0.5000]]}

---

(3)
{"formula": "NiSe3F", "functional": "PBE with a Hubbard U", "state": "relaxed", "polymorph_energy_mev_per_atom": 412, "space_group": "Pm-3m, No. 221", "energy_ev_per_atom": -2.095, "dos_at_fermi_per_ev_atom": 0.86, "lattice": [[4.6111, 0.0000, 0.0000], [0.0000, 4.6111, 0.0000], [0.0000, 0.0000, 4.6111]], "species": ["Ni", "Se", "Se", "Se", "F"], "frac_coords": [[0.0000, 0.0000, 0.0000], [0.0000, 0.5000, 0.5000], [0.5000, 0.0000, 0.5000], [0.5000, 0.5000, 0.0000], [0.5000, 0.5000, 0.5000]]}

---

(4)
{"formula": "NiSeF2", "functional": "PBE with a Hubbard U", "state": "relaxed", "polymorph_energy_mev_per_atom": 0, "space_group": "R-3m, No. 166", "energy_ev_per_atom": -3.823, "dos_at_fermi_per_ev_atom": 0.34, "lattice": [[1.4815, 0.8554, 9.2887], [-1.4815, 0.8554, 9.2887], [0.0000, -1.7107, 9.2887]], "species": ["Ni", "Se", "F", "F"], "frac_coords": [[0.0000, 0.0000, 0.0000], [0.5000, 0.5000, 0.5000], [0.3710, 0.3710, 0.3710], [0.6290, 0.6290, 0.6290]]}


A geometry-optimized Y2SiBr structure. Source: Alexandria, functional PBE.

a b c (Å): 7.470 7.539 3.379
angles (deg): 90.00 98.35 90.00
Space group C2/m (No. 12)
Asymmetric unit:
Y  0.250  0.250  0.000 (multiplicity 4)
Si  0.000  0.000  0.500 (multiplicity 2)
Br  0.000  0.500  0.500 (multiplicity 2)

ρ = 5.0 g/cm³
Formation energy from raw total energies = -0.70 eV/atom
DOS(E_F) = 5.84 states/eV per cell
Energy relative to the lowest polymorph listed for this composition = 1.35 eV/f.u.
Final energy = -5.709 eV per atom


# 1
# ScCo2Re | Alexandria | PBE | optimized geometry
data_ScCo2Re
_symmetry_space_group_name_H-M 'I -4 2 d'
_symmetry_Int_Tables_number 122
_symmetry_space_group_name_Hall 'I -4 2bw'
_cell_length_a 3.951
_cell_length_b 3.951
_cell_length_c 16.105
_cell_angle_alpha 90.00
_cell_angle_beta 90.00
_cell_angle_gamma 90.00
loop_
_atom_site_label
_atom_site_type_symbol
_atom_site_fract_x
_atom_site_fract_y
_atom_site_fract_z
Sc1 Sc 0.000 0.000 0.000
Co1 Co 0.209 0.250 0.625
Re1 Re 0.000 0.000 0.500
# M_tot (Bohr magnetons per cell): 0.0
# Formation enthalpy at 0 K (eV/atom): 0.60
# Uncorrected energy (eV/cell): -122.377

---

# 2
# Ac2Ga7Rh | Alexandria | PBE | optimized geometry
data_Ac2Ga7Rh
_symmetry_space_group_name_H-M 'P -4 m 2'
_symmetry_Int_Tables_number 115
_cell_length_a 4.468
_cell_length_b 4.468
_cell_length_c 10.662
_cell_angle_alpha 90.00
_cell_angle_beta 90.00
_cell_angle_gamma 90.00
loop_
_symmetry_equiv_pos_as_xyz
'x,y,z'
'y,-x,-z'
'-x,-y,z'
'-y,x,-z'
'-x,y,z'
'-y,-x,-z'
'x,-y,z'
'y,x,-z'
loop_
_atom_site_label
_atom_site_type_symbol
_atom_site_fract_x
_atom_site_fract_y
_atom_site_fract_z
Ac1 Ac 0.000 0.500 0.244
Ga1 Ga 0.000 0.000 0.000
Ga2 Ga 0.000 0.000 0.500
Ga3 Ga 0.000 0.500 0.634
Ga4 Ga 0.000 0.500 0.879
Ga5 Ga 0.500 0.500 0.500
Rh1 Rh 0.500 0.500 0.000
# M_tot (Bohr magnetons per cell): 0.0
# Formation enthalpy at 0 K (eV/atom): -0.56
# Uncorrected energy (eV/cell): -42.388

---

Which formula does entry 1 have?
ScCo2Re

---

What did the second record say?